It’s a bit late and I should maybe be going to sleep but I want to get back to writing because it has been a long time since my last post and I just want to get back to it before I start procrastinating.

I have been travelling a lot during the last couple of weeks, so I haven’t been able to write every day. I have written a bit, but not for my blog. This means that publicly, for the 100 posts project, I haven’t written since 21/03, i.e. for two weeks. It also means that my fear about sharing things that are too intimate was indeed nothing to worry about. I guess it could still be the case that I only have things to say about intimate topics, but at least I’m making strides in keeping the writing for myself and for my blog as two separate things.

Finally, it also means that my original estimate of completing the 100 posts in 130 days may be too ambitious. It has been 15 days since my original post, and this is my third post, so I have a 115 days to write the other 97 posts, or about 1.2 days per post. I will change my estimate to 200 days. That’s much more than my most pessimistic estimate when I started, and I still think writing two posts a day could be too optimistic, specially given that I’m still behind due to the lack of posts in the last 14 days.

However, I’m not taking these estimates too seriously, they are more of a loose attempt to keep track of how long this is taking me and to give myself some sense of urgency and avoid procrastinating. I’m happy to keep extending these estimates for now if that’s what is necessary, and I like the ritual of reviewing how long this project is taking and how much time I’m spending on it.

Records of crystals that have nothing to do with the page =
____________
Entry 1:
Ba8Ge43 after structural relaxation. Source: Materials Project, functional PBE.

Summary:
Magnetic moment = 0.000 μB/f.u.
ΔE to the lowest computed polymorph = 0 meV/atom
SG = Ia-3d
Energy of formation = -20.97 kJ per mole of atoms

Lattice parameters (Å, degrees): 18.7755 18.7755 18.7755 109.47 109.47 109.47
Element x y z (fractional)
Ba 0.0000 0.0000 0.0000
Ba 0.0000 0.0000 0.5000
Ba 0.0000 0.5000 0.0000
Ba 0.0000 0.5000 0.5000
Ba 0.1222 0.7500 0.3778
Ba 0.1222 0.8722 0.7444
Ba 0.1278 0.2556 0.8778
Ba 0.1278 0.3722 0.2500
Ba 0.2444 0.3722 0.6222
Ba 0.2500 0.1278 0.3722
Ba 0.2500 0.6222 0.8778
Ba 0.2556 0.8778 0.1278
Ba 0.3722 0.2500 0.1278
Ba 0.3722 0.6222 0.2444
Ba 0.3778 0.1222 0.7500
Ba 0.3778 0.7556 0.6278
Ba 0.5000 0.0000 0.0000
Ba 0.5000 0.0000 0.5000
Ba 0.5000 0.5000 0.0000
Ba 0.5000 0.5000 0.5000
Ba 0.6222 0.2444 0.3722
Ba 0.6222 0.8778 0.2500
Ba 0.6278 0.3778 0.7556
Ba 0.6278 0.7500 0.8722
Ba 0.7444 0.1222 0.8722
Ba 0.7500 0.3778 0.1222
Ba 0.7500 0.8722 0.6278
Ba 0.7556 0.6278 0.3778
Ba 0.8722 0.6278 0.7500
Ba 0.8722 0.7444 0.1222
Ba 0.8778 0.1278 0.2556
Ba 0.8778 0.2500 0.6222
Ge 0.0000 0.1834 0.5000
Ge 0.0000 0.3166 0.5000
Ge 0.0000 0.6834 0.5000
Ge 0.0000 0.8166 0.5000
Ge 0.0010 0.0049 0.1857
Ge 0.0010 0.4961 0.8153
Ge 0.0039 0.0049 0.3192
Ge 0.0039 0.4990 0.6847
Ge 0.0049 0.1857 0.0010
Ge 0.0049 0.3192 0.0039
Ge 0.0554 0.7093 0.1528
Ge 0.0554 0.8461 0.9026
Ge 0.0565 0.6539 0.7093
Ge 0.0565 0.9026 0.3472
Ge 0.0639 0.2315 0.6655
Ge 0.0639 0.3324 0.3984
Ge 0.0660 0.1676 0.2315
Ge 0.0660 0.3984 0.8345
Ge 0.0974 0.6528 0.9435
Ge 0.0974 0.9446 0.1539
Ge 0.1016 0.1676 0.4361
Ge 0.1016 0.4340 0.6655
Ge 0.1250 0.7500 0.8750
Ge 0.1250 0.8750 0.2500
Ge 0.1528 0.0554 0.7093
Ge 0.1528 0.5974 0.4435
Ge 0.1539 0.0974 0.9446
Ge 0.1539 0.5565 0.2093
Ge 0.1655 0.7315 0.5639
Ge 0.1655 0.9340 0.6016
Ge 0.1676 0.2315 0.0660
Ge 0.1676 0.4361 0.1016
Ge 0.1808 0.1857 0.6847
Ge 0.1808 0.4951 0.4961
Ge 0.1834 0.1834 0.1834
Ge 0.1834 0.5000 0.0000
Ge 0.1847 0.6857 0.6808
Ge 0.1847 0.9990 0.5039
Ge 0.1857 0.0010 0.0049
Ge 0.1857 0.6847 0.1808
Ge 0.2093 0.1539 0.5565
Ge 0.2093 0.5554 0.6528
Ge 0.2315 0.0660 0.1676
Ge 0.2315 0.6655 0.0639
Ge 0.2500 0.1250 0.8750
Ge 0.2500 0.6250 0.3750
Ge 0.2685 0.3324 0.4340
Ge 0.2685 0.4361 0.8345
Ge 0.2907 0.8472 0.9446
Ge 0.2907 0.9435 0.3461
Ge 0.3143 0.3192 0.8153
Ge 0.3143 0.4951 0.4990
Ge 0.3153 0.8192 0.8143
Ge 0.3153 0.9961 0.5010
Ge 0.3166 0.3166 0.3166
Ge 0.3166 0.5000 0.0000
Ge 0.3192 0.0039 0.0049
Ge 0.3192 0.8153 0.3143
Ge 0.3324 0.3984 0.0639
Ge 0.3324 0.4340 0.2685
Ge 0.3345 0.8984 0.5660
Ge 0.3345 0.9361 0.7685
Ge 0.3461 0.2907 0.9435
Ge 0.3461 0.5554 0.4026
Ge 0.3472 0.0565 0.9026
Ge 0.3472 0.7907 0.4446
Ge 0.3750 0.2500 0.6250
Ge 0.3750 0.6250 0.7500
Ge 0.3984 0.0639 0.3324
Ge 0.3984 0.8345 0.0660
Ge 0.4026 0.3461 0.5554
Ge 0.4026 0.5565 0.8472
Ge 0.4340 0.2685 0.3324
Ge 0.4340 0.6655 0.1016
Ge 0.4361 0.1016 0.1676
Ge 0.4361 0.8345 0.2685
Ge 0.4435 0.1528 0.5974
Ge 0.4435 0.7907 0.8461
____________

One might think that after 14 days without writing my motivation for this project could have wavered. I certainly seemed to expect that in my first posts. However I would actually say may motivation has become stronger. I’m really happy with the decision to focus on just blog posts, and I’m really excited to see what I will feel after being 100 posts more prolific. I’m looking forward to experimenting, to talking about different topics and figuring out what my talking points may be after actually revisiting them in public a few times, not just because I think a lot about them in my head.

Apple released a new immersive sports video last week, and from what I’ve heard it is a bit of a mess. It has a lot of cuts, and, according to Ben Thompson from Stratechery, “while the format is immersive, the video itself isn’t”. This is the first immersive video Apple releases since the Vision Pro came out in late January, and as Thompson says, that may be the problem here. Releasing just one video every couple of months, if at all, doesn’t give you the opportunity to experiment enough to figure out what to do with a new medium. Thinking about this, I have become more convinced that I want to write my 100 posts, and try to be very prolific, if only for a short time. There are lessons to be learnt while releasing stuff that you won’t be able to learn by being a perfectionist. I have known that for a long time, but I still have to internalise it.

Materials data that have nothing to do with the entry >
No. 1
A relaxed PuTe crystal. Source: Materials Project, functional r²SCAN.

Unit cell a=4.453 b=4.453 c=4.453 alpha=60.00 beta=60.00 gamma=60.00
Positions (direct):
Pu: 0.000 0.000 0.000
Te: 0.500 0.500 0.500

---

No. 2
A relaxed PuTe2 crystal. Source: Materials Project, functional r²SCAN.

Unit cell a=4.474 b=4.474 c=9.049 alpha=90.00 beta=90.00 gamma=90.00
Positions (direct):
Pu: 0.250 0.250 0.225
Pu: 0.750 0.750 0.775
Te: 0.250 0.250 0.864
Te: 0.250 0.750 0.500
Te: 0.750 0.250 0.500
Te: 0.750 0.750 0.136

---

No. 3
A relaxed Pu2Zn17 crystal. Source: Materials Project, functional r²SCAN.

Unit cell a=6.736 b=6.736 c=6.731 alpha=97.26 beta=97.26 gamma=82.66
Positions (direct):
Pu: 0.163 0.163 0.336
Pu: 0.837 0.837 0.664
Zn: 0.000 0.500 0.000
Zn: 0.150 0.150 0.840
Zn: 0.150 0.660 0.350
Zn: 0.206 0.500 0.706
Zn: 0.207 0.793 0.000
Zn: 0.340 0.850 0.650
Zn: 0.400 0.400 0.099
Zn: 0.500 0.000 0.000
Zn: 0.500 0.206 0.706
Zn: 0.500 0.500 0.500
Zn: 0.500 0.794 0.294
Zn: 0.600 0.600 0.901
Zn: 0.660 0.150 0.350
Zn: 0.793 0.207 0.000
Zn: 0.794 0.500 0.294
Zn: 0.850 0.340 0.650
Zn: 0.850 0.850 0.160

---

No. 4
A relaxed Rb crystal. Source: Materials Project, functional r²SCAN.

Unit cell a=13.023 b=13.023 c=13.023 alpha=22.47 beta=22.47 gamma=22.47
Positions (direct):
Rb: 0.000 0.000 0.000
Rb: 0.222 0.222 0.222
Rb: 0.778 0.778 0.778

Summary:
Distance to the lowest polymorph of the same formula, eV/atom: 0.0106

---

No. 5
A relaxed Rb crystal. Source: Materials Project, functional r²SCAN.

Unit cell a=4.985 b=5.140 c=8.798 alpha=82.68 beta=75.49 gamma=61.03
Positions (direct):
Rb: 0.133 0.239 0.250
Rb: 0.867 0.761 0.750

Summary:
Distance to the lowest polymorph of the same formula, eV/atom: 0.0144

---

No. 6
A relaxed Rb crystal. Source: Materials Project, functional r²SCAN.

Unit cell a=9.128 b=9.128 c=9.128 alpha=90.00 beta=90.00 gamma=90.00
Positions (direct):
Rb: 0.000 0.000 0.000
Rb: 0.000 0.250 0.500
Rb: 0.000 0.750 0.500
Rb: 0.250 0.500 0.000
Rb: 0.500 0.000 0.250
Rb: 0.500 0.000 0.750
Rb: 0.500 0.500 0.500
Rb: 0.750 0.500 0.000

Summary:
Distance to the lowest polymorph of the same formula, eV/atom: 0.0183

---

The calculation returns the following E_tot values, one per record and in order: -114.7, -141.0, -328.4, -13.9, -13.9, -13.9 eV/f.u..


No. 1
# Pr2Ge6Au

An optimized crystal structure of Pr2Ge6Au (PBE, the Materials Project database).

Computed properties:
DFT total energy = -4.921 eV per atom
Spin magnetization = 0.0007 μB per atom
ρ = 7.56 g cm⁻³
V = 22.3 Å³ per atom

Structure (POSCAR):
```
Pr2Ge6Au
1.0
0.000 4.212 0.000
4.234 0.000 0.000
0.000 -2.106 -11.272
Ge Au Pr
6 1 2
Direct
0.382 0.500 0.763 Ge
0.234 0.000 0.469 Ge
0.671 0.000 0.341 Ge
0.992 0.000 0.984 Ge
0.492 0.500 0.985 Ge
0.881 0.000 0.762 Ge
0.559 0.000 0.118 Au
0.779 0.500 0.559 Pr
0.117 0.500 0.234 Pr
```



No. 2
# Na2Sc4Ta4Si5S7O48

An optimized crystal structure of Na2Sc4Ta4Si5S7O48 (PBE, the Materials Project database).

Computed properties:

There’s many bloggers, like visakanv or Thompson, that I deeply admire. Reading them often makes me think that I want to be a blogger myself, or at least that I want to make things in public, however I’ve always strained to actually do it because of the many anxieties around it. Even if I have started a few times, I have always struggled to maintain the motivation for longer than a few pieces of content. I’m still at post 3, so it’s hard to tell if this time will be any different. However, it does feel different for me. The constraint to just write posts, the goal to just focus on being prolific, and the fact that I’m not hyping the project up or making it excessively complicated and public – all these factors make me think that I can do it this time. After all, “becoming a blogger” is horribly generic and without a clear milestone, but “writing 100 posts” is genius because I can just focus on the blog posts. Whether I keep posting after 100 or not, is just a matter of how the project goes and whether I still want to write once I have built the habit.